# Wanted
Could you echo the data further below from the line with "0.0000 5.9872" to the end without additions?
# File
PBE Dy3Si3Pt2, relaxed; total DFT energy (no corrections) = -51.05 eV/f.u.
1.0
2.1410 -5.1743 0.0000
2.1410 5.1743 0.0000
0.0000 0.0000 14.1694
Dy Si Pt
6 6 4
Cartesian
2.1410 4.2319 8.6602
2.1410 4.2319 12.5939
2.1410 1.3364 10.6271
2.1410 -1.3364 3.5424
2.1410 -4.2319 1.5755
2.1410 -4.2319 5.5092
2.1410 1.7216 3.5424
2.1410 1.1667 7.5792
2.1410 1.1667 13.6749
2.1410 -1.1667 0.4945
2.1410 -1.1667 6.5902
2.1410 -1.7216 10.6271
2.1410 3.1538 1.4336
2.1410 3.1538 5.6511
2.1410 -3.1538 8.5183
2.1410 -3.1538 12.7358

PBE Dy4SiPt3, relaxed; total DFT energy (no corrections) = -51.09 eV/f.u.
1.0
5.6945 0.0000 0.0000
0.0000 4.2009 0.0000
-0.0143 0.0000 7.4265
Dy Si Pt
4 1 3
Cartesian
0.0000 0.0000 0.0000
1.2975 0.0000 3.7770
2.7988 2.1004 6.4506
4.1681 2.1004 2.6688
4.1281 0.0000 4.7758
1.1807 2.1004 1.7017
2.9490 0.0000 1.0292
5.6718 2.1004 5.3502

PBE DySi2Pt, relaxed; total DFT energy (no corrections) = -24.06 eV/f.u.
1.0
4.3572 0.0000 0.0000
0.0000 4.5047 0.0000
0.0000 0.0000 7.7074
Dy Si Pt
2 4 2
Cartesian
0.0000 0.2451 0.0000
0.0000 4.2596 3.8537
0.0000 2.2388 1.9723
0.0000 2.2660 5.8259
2.1786 0.9268 2.1911
2.1786 3.5779 6.0448
2.1786 1.3462 4.9010
2.1786 3.1585 1.0473

PBE DySi2Pt, relaxed; total DFT energy (no corrections) = -24.62 eV/f.u.
1.0
4.1358 0.0000 0.0000
0.0000 5.9872 0.0000
0.0000 0.0000 5.7129
Dy Si Pt
2 4 2
Cartesian
0.0000 0.5984 0.0000
2.0679 5.3889 2.8565
0.0000 1.5341 2.8648
0.0000 3.8310 4.2371
2.0679 2.1562 1.3806
2.0679 4.4531 0.0083
0.0000 3.5879 1.1571
2.0679 2.3994 4.0135

Which value of total DFT energy (no corrections) does entry 2 give? -51.09 eV/f.u.

* * * * *

YCr4Pb | PBE | relaxed

energy: -0.5663 Ry/atom
ΔH_f (0 K): 2.44 eV/f.u.

a = 5.140 Å, b = 5.140 Å, c = 5.140 Å
α = 60.00°, β = 60.00°, γ = 60.00°
Sites, in units of the cell vectors:
Y 0.000 0.000 0.000
Cr 0.870 0.377 0.377
Cr 0.377 0.377 0.870
Cr 0.377 0.870 0.377
Cr 0.377 0.377 0.377
Pb 0.750 0.750 0.750

* * * * *

1.
VASP calculation (SCAN) on Rb2BrCl at its PBEsol-relaxed geometry.

abc: 8.4689 8.4689 9.6322
angles: 90.00 90.00 90.00
Closest atoms and distances in Å follow each position.
Space group I-42d (No. 122)
Inequivalent atoms, fractional coordinates:
Rb  0.2346  0.2500  0.1250 (multiplicity 8)  2 Cl 3.14, 2 Br 3.31
Br  0.0000  0.0000  0.5000 (multiplicity 4)  4 Rb 3.31
Cl  0.0000  0.0000  0.0000 (multiplicity 4)  4 Rb 3.14

Results
Offset from the most stable computed form ... 0.0931 eV per atom

2.
VASP calculation (SCAN) on Rb2BrCl at its PBEsol-relaxed geometry.

abc: 7.9750 7.9750 7.9750
angles: 90.00 90.00 90.00
Closest atoms and distances in Å follow each position.
Space group Fm-3m (No. 225)
Inequivalent atoms, fractional coordinates:
Rb  0.2500  0.2500  0.2500 (multiplicity 8)  4 Cl 3.45, 4 Br 3.45
Br  0.0000  0.0000  0.0000 (multiplicity 4)  8 Rb 3.45
Cl  0.0000  0.0000  0.5000 (multiplicity 4)  8 Rb 3.45

Results
Offset from the most stable computed form ... 0.0000 eV per atom

3.
VASP calculation (SCAN) on RbBrCl3 at its PBEsol-relaxed geometry.

abc: 5.2837 7.0754 8.8959
angles: 97.98 90.46 102.33
Closest atoms and distances in Å follow each position.
Space group P1 (No. 1)
Inequivalent atoms, fractional coordinates:
Rb  0.0000  0.0000  0.0000 (multiplicity 1)  6 Cl 3.26-3.49, 1 Br 3.60
Rb  0.4948  0.6423  0.4815 (multiplicity 1)  7 Cl 3.31-3.42
Br  0.4604  0.1229  0.3178 (multiplicity 1)  2 Cl 2.32-2.47
Br  0.7561  0.3076  0.7371 (multiplicity 1)  2 Cl 2.38-2.41
Cl  0.0633  0.8723  0.3425 (multiplicity 1)  1 Br 2.47
Cl  0.2829  0.6434  0.1191 (multiplicity 1)  1 Cl 2.09
Cl  0.4772  0.4918  0.9564 (multiplicity 1)  1 Cl 2.09
Cl  0.5051  0.9917  0.7759 (multiplicity 1)  1 Br 2.41
Cl  0.8354  0.3475  0.2788 (multiplicity 1)  1 Br 2.32
Cl  0.9943  0.6232  0.7044 (multiplicity 1)  1 Br 2.38

Results
E ... -13.763 eV/atom

4.
VASP calculation (SCAN) on RbScBr2Cl at its PBEsol-relaxed geometry.

abc: 5.9869 5.9869 5.4703
angles: 90.00 90.00 90.00
Closest atoms and distances in Å follow each position.
# Completed
0.0000 5.9872 0.0000
0.0000 0.0000 5.7129
Dy Si Pt
2 4 2
Cartesian
0.0000 0.5984 0.0000
2.0679 5.3889 2.8565
0.0000 1.5341 2.8648
0.0000 3.8310 4.2371
2.0679 2.1562 1.3806
2.0679 4.4531 0.0083
0.0000 3.5879 1.1571
2.0679 2.3994 4.0135

Which value of total DFT energy (no corrections) does entry 2 give? -51.09 eV/f.u.

* * * * *

YCr4Pb | PBE | relaxed

energy: -0.5663 Ry/atom
ΔH_f (0 K): 2.44 eV/f.u.

a = 5.140 Å, b = 5.140 Å, c = 5.140 Å
α = 60.00°, β = 60.00°, γ = 60.00°
Sites, in units of the cell vectors:
Y 0.000 0.000 0.000
Cr 0.870 0.377 0.377
Cr 0.377 0.377 0.870
Cr 0.377 0.870 0.377
Cr 0.377 0.377 0.377
Pb 0.750 0.750 0.750

* * * * *

1.
VASP calculation (SCAN) on Rb2BrCl at its PBEsol-relaxed geometry.

abc: 8.4689 8.4689 9.6322
angles: 90.00 90.00 90.00
Closest atoms and distances in Å follow each position.
Space group I-42d (No. 122)
Inequivalent atoms, fractional coordinates:
Rb  0.2346  0.2500  0.1250 (multiplicity 8)  2 Cl 3.14, 2 Br 3.31
Br  0.0000  0.0000  0.5000 (multiplicity 4)  4 Rb 3.31
Cl  0.0000  0.0000  0.0000 (multiplicity 4)  4 Rb 3.14

Results
Offset from the most stable computed form ... 0.0931 eV per atom

2.
VASP calculation (SCAN) on Rb2BrCl at its PBEsol-relaxed geometry.

abc: 7.9750 7.9750 7.9750
angles: 90.00 90.00 90.00
Closest atoms and distances in Å follow each position.
Space group Fm-3m (No. 225)
Inequivalent atoms, fractional coordinates:
Rb  0.2500  0.2500  0.2500 (multiplicity 8)  4 Cl 3.45, 4 Br 3.45
Br  0.0000  0.0000  0.0000 (multiplicity 4)  8 Rb 3.45
Cl  0.0000  0.0000  0.5000 (multiplicity 4)  8 Rb 3.45

Results
Offset from the most stable computed form ... 0.0000 eV per atom

3.
VASP calculation (SCAN) on RbBrCl3 at its PBEsol-relaxed geometry.

abc: 5.2837 7.0754 8.8959
angles: 97.98 90.46 102.33
Closest atoms and distances in Å follow each position.
Space group P1 (No. 1)
Inequivalent atoms, fractional coordinates:
Rb  0.0000  0.0000  0.0000 (multiplicity 1)  6 Cl 3.26-3.49, 1 Br 3.60
Rb  0.4948  0.6423  0.4815 (multiplicity 1)  7 Cl 3.31-3.42
Br  0.4604  0.1229  0.3178 (multiplicity 1)  2 Cl 2.32-2.47
Br  0.7561  0.3076  0.7371 (multiplicity 1)  2 Cl 2.38-2.41
Cl  0.0633  0.8723  0.3425 (multiplicity 1)  1 Br 2.47
Cl  0.2829  0.6434  0.1191 (multiplicity 1)  1 Cl 2.09
Cl  0.4772  0.4918  0.9564 (multiplicity 1)  1 Cl 2.09
Cl  0.5051  0.9917  0.7759 (multiplicity 1)  1 Br 2.41
Cl  0.8354  0.3475  0.2788 (multiplicity 1)  1 Br 2.32
Cl  0.9943  0.6232  0.7044 (multiplicity 1)  1 Br 2.38

Results
E ... -13.763 eV/atom

4.
VASP calculation (SCAN) on RbScBr2Cl at its PBEsol-relaxed geometry.

abc: 5.9869 5.9869 5.4703
angles: 90.00 90.00 90.00
Closest atoms and distances in Å follow each position.